**Assignment**
Work out how many lines further below have the word "As1" in them; a number is enough, please.
**Contents**
+++
i:
# LaMg, optimized geometry, DFT PBE-GGA
# - Crystal system: orthorhombic
data_LaMg
_chemical_formula_sum 'La2 Mg2'
_space_group_name_H-M_alt 'P m m a'
_space_group_IT_number 51
_space_group_name_Hall '-P 2a 2a'
_cell_length_a 5.615
_cell_length_b 3.825
_cell_length_c 5.805
_cell_angle_alpha 90.00
_cell_angle_beta 90.00
_cell_angle_gamma 90.00
loop_
_atom_site_label
_atom_site_type_symbol
_atom_site_fract_x
_atom_site_fract_y
_atom_site_fract_z
La1 La 0.250 0.000 0.199
Mg1 Mg 0.250 0.500 0.686

ii:
# LaMg, optimized geometry, DFT PBE-GGA
# - Magnetic moment: 0.00 μB per formula unit
# - Crystal system: monoclinic
data_LaMg
_chemical_formula_sum 'La6 Mg6'
_space_group_name_H-M_alt 'C 1 m 1'
_space_group_IT_number 8
_space_group_name_Hall 'C -2y'
_cell_length_a 12.941
_cell_length_b 3.565
_cell_length_c 8.122
_cell_angle_alpha 90.00
_cell_angle_beta 106.99
_cell_angle_gamma 90.00
loop_
_atom_site_label
_atom_site_type_symbol
_atom_site_fract_x
_atom_site_fract_y
_atom_site_fract_z
La1 La 0.000 0.000 0.000
La2 La 0.018 0.000 0.574
La3 La 0.146 0.500 0.330
Mg1 Mg 0.215 0.500 0.922
Mg2 Mg 0.310 0.000 0.668
Mg3 Mg 0.351 0.000 0.233

Most stable: i

i:
# CaAsO5, optimized geometry, DFT PBE-GGA
# - Magnetic moment: 0.00 μB per formula unit
# - Crystal system: orthorhombic
data_CaAsO5
_chemical_formula_sum 'Ca8 As8 O40'
_space_group_name_H-M_alt 'P b c n'
_space_group_IT_number 60
_space_group_name_Hall '-P 2n 2ab'
_cell_length_a 6.561
_cell_length_b 8.629
_cell_length_c 15.326
_cell_angle_alpha 90.00
_cell_angle_beta 90.00
_cell_angle_gamma 90.00
loop_
_atom_site_label
_atom_site_type_symbol
_atom_site_fract_x
_atom_site_fract_y
_atom_site_fract_z
Ca1 Ca 0.139 0.191 0.036
As1 As 0.134 0.450 0.888
O1 O 0.030 0.301 0.593
O2 O 0.038 0.370 0.385
O3 O 0.044 0.030 0.786
O4 O 0.184 0.063 0.469
O5 O 0.237 0.096 0.286

ii:
# CaAsO5, optimized geometry, DFT PBE-GGA
# - Magnetic moment: 3.00 μB per formula unit
# - Crystal system: orthorhombic
data_CaAsO5
_chemical_formula_sum 'Ca8 As8 O40'
_space_group_name_H-M_alt 'P b c n'
_space_group_IT_number 60
_space_group_name_Hall '-P 2n 2ab'
+++
**Done**
1